A New Academic Home Opens for Collecting ‘the Best’ Research on Peacemaking
by N’Dongo Athie. This article originally appeared on PassBlue.
What’s new: The Impact:Peace initiative launched this summer to provide “real” impact on peace-building on the ground, its founders say. The goal of the million-dollar project is to significantly reduce conflict worldwide, while accelerating the most important changes in the peace-building field. As the United Nations Security Council remains divided geopolitically and unable to stop or resolve many conflicts across the globe, peace-building programs outside the UN strive to fill the peace gap.
Where: Located at the Kroc Institute for Peace and Justice at the University of San Diego, Impact:Peace partners with the Stanley Foundation — which is renaming itself the Stanley Center for Peace and Security on Nov. 11 — and the newly formed +Peace Coalition, a group focused on tackling global violence and division.
Goals: Although many peace-building and prevention practices exist, Rachel Locke, the director of the initiative, said in an interview that trends are moving in the wrong direction: “We have a lot of knowledge that is needed to reduce and prevent conflict and violence, yet that is not having the change that we want to see in terms of lowering the toll of conflict and violence.”
That is why Impact:Peace intends to be a “warehouse,” Locke said, collecting relevant research to amplify “the best work that’s out there.”
“Our job will be really to curate that research in such a way that it can feed into the change processes that will have greatest impact,” Locke said. The change processes, she added, include legislation, policy, an advocacy movement or a campaign.
Research will also be done by the initiative, notably in areas where there are gaps; for example, on how a public health approach to violence can be used in conflict and fragile settings.
“What we are trying to fill is the space between the knowledge and the action,” Locke says.
Partners: Impact:Peace will work with global advocates, practitioners and policymakers to identify the processes in the peace-building and violence-prevention fields that are having the strongest effect.
The initiative, for example, is both a facilitator and research provider for the Peace in Our Cities Campaign. This new campaign is organized by the Pathfinders for Peaceful, Just and Inclusive Societies and housed at New York University’s Center on International Cooperation.
The campaign is aligned with Goal 16 of the Sustainable Development Goals, calling for more peaceful, just and inclusive societies. Impact:Peace says that 82 percent of deadly violence in the world occurs in urban settings.
• Inserted here: crystal structures:
(1)
This record from Alexandria via LeMat-Bulk describes a relaxed AsPOs2 crystal. The functional is PBE.

Values from the calculation:
The calculation puts the excess energy over the best structure of this formula in the dataset at 141 meV per atom.

Cell lengths 7.7975, 2.9225, 5.1210 Å; angles 90.00, 102.70, 90.00 degrees
Fractional positions:
As: 0.0000 0.0000 0.0000
As: 0.5000 0.5000 0.0000
P: 0.0000 0.5000 0.5000
P: 0.5000 0.0000 0.5000
Os: 0.2441 0.0000 0.7329
Os: 0.2559 0.5000 0.2671
Os: 0.7441 0.5000 0.7329
Os: 0.7559 0.0000 0.2671

=====

(2)
This record from Alexandria via LeMat-Bulk describes a relaxed As2POs crystal. The functional is PBE.

Cell lengths 2.9249, 2.9249, 8.2800 Å; angles 90.00, 90.00, 90.00 degrees
Fractional positions:
As: 0.0000 0.0000 0.1973
As: 0.0000 0.0000 0.8027
P: 0.5000 0.5000 0.5000
Os: 0.5000 0.5000 0.0000

=====

(3)
This record from Alexandria via LeMat-Bulk describes a relaxed AsPOs crystal. The functional is PBE.

Values from the calculation:
The calculation puts the excess energy over the best structure of this formula in the dataset at 1256 meV per atom.

Cell lengths 5.9029, 5.9029, 5.9029 Å; angles 90.00, 90.00, 90.00 degrees
Fractional positions:
As: 0.0000 0.0000 0.0000
As: 0.0000 0.5000 0.5000
As: 0.5000 0.0000 0.5000
As: 0.5000 0.5000 0.0000
P: 0.2500 0.2500 0.2500
P: 0.2500 0.7500 0.7500
P: 0.7500 0.2500 0.7500
P: 0.7500 0.7500 0.2500
Os: 0.2500 0.2500 0.7500
Os: 0.2500 0.7500 0.2500
Os: 0.7500 0.2500 0.2500
Os: 0.7500 0.7500 0.7500

=====

(4)
This record from Alexandria via LeMat-Bulk describes a relaxed AsPOs crystal. The functional is PBE.

Values from the calculation:
The calculation puts the excess energy over the best structure of this formula in the dataset at 704 meV per atom.

Cell lengths 2.9647, 8.3580, 8.3580 Å; angles 134.91, 90.00, 90.00 degrees
Fractional positions:
As: 0.0000 0.0000 0.0000
As: 0.5000 0.6220 0.8795
As: 0.5000 0.8795 0.6220
P: 0.5000 0.0965 0.4401
P: 0.5000 0.3300 0.3300
P: 0.5000 0.4401 0.0965
Os: 0.0000 0.3095 0.7903
Os: 0.0000 0.6035 0.6035
Os: 0.0000 0.7903 0.3095

=====

(5)
This record from Alexandria via LeMat-Bulk describes a relaxed As2POs crystal. The functional is PBE.

Cell lengths 2.8955, 4.8908, 9.5051 Å; angles 90.00, 90.00, 90.00 degrees
Fractional positions:
As: 0.0000 0.0000 0.2255
As: 0.0000 0.0000 0.7745
As: 0.5000 0.5000 0.2255
As: 0.5000 0.5000 0.7745
P: 0.0000 0.5000 0.5000
P: 0.5000 0.0000 0.5000
Os: 0.0000 0.5000 0.0000
Os: 0.5000 0.0000 0.0000

=====

(6)
This record from Alexandria via LeMat-Bulk describes a relaxed AsPOs crystal. The functional is PBE.

Values from the calculation:
The calculation puts the excess energy over the best structure of this formula in the dataset at 746 meV per atom.

Cell lengths 4.1496, 4.1496, 3.1263 Å; angles 90.00, 90.00, 120.00 degrees
Fractional positions:
As: 0.0000 0.0000 0.0000
P: 0.3333 0.6667 0.5000
Os: 0.6667 0.3333 0.5000

=====

(7)
So far, 11 mayors and local officials representing more than 15.8 million people from across the world — Colombo, Sri Lanka, to Nairobi, Kenya; Guadalajara, Mexico, to Bangui, Central African Republic — have pledged to work on halving violence in their cities by 2030.
(What comes next are calculated crystals, not part of the text)
'''
# Cs3InBr4 PBE-GGA optimized geometry
data_Cs3InBr4
_symmetry_space_group_name_H-M 'P n m a'
_symmetry_Int_Tables_number 62
_cell_length_a 10.053
_cell_length_b 13.542
_cell_length_c 10.994
_cell_angle_alpha 90.00
_cell_angle_beta 90.00
_cell_angle_gamma 90.00
loop_
_symmetry_equiv_pos_as_xyz
'x,y,z'
'-x,-y,-z'
'-x+1/2,-y,z+1/2'
'x+1/2,y,-z+1/2'
'x+1/2,-y+1/2,-z+1/2'
'-x+1/2,y+1/2,z+1/2'
'-x,y+1/2,-z'
'x,-y+1/2,z'
loop_
_atom_site_label
_atom_site_fract_x
_atom_site_fract_y
_atom_site_fract_z
Cs1 0.007 0.035 0.231
Cs2 0.211 0.750 0.447
In1 0.203 0.250 0.529
Br1 0.041 0.750 0.161
Br2 0.219 0.750 0.769
Br3 0.232 0.010 0.503
# crystal system	orthorhombic
# magnetic moment	0.00	μB/f.u.
# formation energy from raw total energies	-11.9	eV/f.u.

~~~~~

LaY2Cd (PBE, relaxed); symmetry = Pmmm; DOS(E_F) = 1.5039 states/eV per atom; volume = 122.7 Å³ per cell; ΔE_f = -0.07 eV per atom
1.0
3.868 0.000 0.000
0.000 5.539 0.000
0.000 0.000 5.727
La Y Cd
1 2 1
Direct
0.000 0.000 0.000 La
0.000 0.500 0.500 Y
0.500 0.500 0.000 Y
0.500 0.000 0.500 Cd

=====

LaY5Cd (PBE, relaxed); symmetry = C2/c; DOS(E_F) = 1.5056 states/eV per atom; volume = 455.4 Å³ per cell; ΔE_f = 0.10 eV per atom
1.0
5.714 -3.324 0.000
5.714 3.324 0.000
-2.816 0.000 11.988
La Y Cd
2 10 2
Direct
0.193 0.807 0.750 La
0.807 0.193 0.250 La
0.161 0.309 0.667 Y
0.278 0.416 0.947 Y
0.296 0.704 0.250 Y
0.309 0.161 0.167 Y
0.416 0.278 0.447 Y
0.584 0.722 0.553 Y
0.691 0.839 0.833 Y
0.704 0.296 0.750 Y
0.722 0.584 0.053 Y
0.839 0.691 0.333 Y
0.000 0.000 0.000 Cd
0.000 0.000 0.500 Cd

=====

La2YCd2 (PBE, relaxed); distance to the lowest polymorph of the same formula = 175 meV/atom; symmetry = P4/mbm; DOS(E_F) = 1.3317 states/eV per atom; volume = 307.2 Å³ per cell; ΔE_f = -0.08 eV per atom
1.0
9.216 0.000 0.000
0.000 9.216 0.000
0.000 0.000 3.616
La Y Cd
4 2 4
Direct
0.118 0.382 0.000 La
0.382 0.882 0.000 La
0.618 0.118 0.000 La
0.882 0.618 0.000 La
0.000 0.000 0.000 Y
0.500 0.500 0.000 Y
0.177 0.677 0.500 Cd
0.323 0.177 0.500 Cd
0.677 0.823 0.500 Cd
0.823 0.323 0.500 Cd

=====

LaY2Cd (PBE, relaxed); symmetry = I4/mmm; DOS(E_F) = 1.3988 states/eV per atom; volume = 242.4 Å³ per cell; ΔE_f = -0.05 eV per atom
1.0
4.898 0.000 0.000
0.000 4.898 0.000
0.000 0.000 10.103
La Y Cd
2 4 2
Direct
0.000 0.000 0.000 La
0.500 0.500 0.500 La
0.000 0.500 0.250 Y
0.000 0.500 0.750 Y
0.500 0.000 0.250 Y
0.500 0.000 0.750 Y
0.000 0.000 0.500 Cd
0.500 0.500 0.000 Cd

=====

LaY2Cd (PBE, relaxed); symmetry = R-3m; DOS(E_F) = 1.1738 states/eV per atom; volume = 377.5 Å³ per cell; ΔE_f = -0.09 eV per atom
1.0
3.654 0.000 0.000
-1.827 3.164 0.000
0.000 0.000 32.651
La Y Cd
3 6 3
Direct
0.000 0.000 0.000 La
0.333 0.667 0.667 La
0.667 0.333 0.333 La
0.000 0.000 0.242 Y
0.000 0.000 0.758 Y
0.333 0.667 0.425 Y
0.333 0.667 0.908 Y
0.667 0.333 0.092 Y
0.667 0.333 0.575 Y
0.000 0.000 0.500 Cd
0.333 0.667 0.167 Cd
0.667 0.333 0.833 Cd

=====
'''
“We strive to see reductions in urban violence on the order of 50 percent by 2030,” Locke said, adding, “Obviously, we would love to see that earlier.”
Donor: Milt Lauenstein, 93, is a longtime advocate for peace and the founder of the War and Peacebuilding website, which promotes collaboration and research among peace-building organizations.
Lauenstein, a former businessman and now a painter, lives in New Hampshire and also founded the Purdue Peace Project, a political violence-prevention program located at Purdue University in West Lafayette, Ind. He has donated the core funding of $1 million to Impact:Peace.
Its accomplishments will be measured by the number and importance of the partnerships it initiates and what they do; the amount and relevance of the research that it sponsors; the effects in the peace-building community; and the reduction of armed conflict.
“Now over 90 years old and a Quaker, I share with my family our responsibility to do what we can to promote cooperation, peace, and freedom from suffering among our fellow human beings,” Lauenstein notes on his website.
“The principal way I do this is by devoting my time and money to reduce armed conflict in the world. Surprisingly, I have had some success, and am optimistic about new initiatives in that direction.”
Originally published at https://www.passblue.com on October 22, 2019.